Train collision with fallen tree and derailment near Balderton, Cheshire, 26 November 2021
Published 18 August 2022
1. Important safety messages
This accident demonstrates the importance of railway companies:
considering all relevant meteorological parameters, including wind direction, when determining and applying weather-related risk mitigation
promptly adjusting mitigation measures required for safety of the line during extreme weather events, to take account of any incidents that have occurred due to the weather.
2. Summary of the accident
At about 23:13 hrs on Friday 26 November 2021, an empty passenger train collided with part of a fallen tree while travelling at 46 mph (74 km/h). The train involved, reporting number 5D77, consisted of a class 150 diesel multiple unit which was being operated by Transport for Wales between Wrexham General and Chester. The collision caused the leading axle of the train to derail. There were no injuries, but minor damage was caused to the train and to local signalling equipment.
This record from the OMol25 dataset describes a structure of composition C37H66BIN4O7S2 in a non-equilibrium geometry. The level of theory is ωB97M-V/def2-TZVPD.

The geometry in XYZ format:
```
118
Properties=species:S:1:pos:R:3:mulliken_charge:R:1
C -0.108 -1.225 3.270 -1.012
C 0.341 -0.931 2.012 -0.342
C -0.472 -0.515 0.865 0.945
C 0.017 0.528 0.065 0.335
O 1.240 1.057 0.448 -0.602
C -0.633 0.995 -1.060 0.742
C -0.098 2.087 -1.958 -0.964
C 0.634 3.266 -1.298 -0.767
C 2.060 3.501 -1.812 -0.967
S 3.087 2.029 -2.051 -0.137
C -1.853 0.371 -1.396 -0.394
C -2.340 -0.674 -0.616 0.862
C -1.671 -1.148 0.518 -0.215
C -2.207 -2.329 1.294 -1.538
C -1.350 -3.605 1.147 -0.499
C -1.081 -4.012 -0.317 -0.423
C 0.392 -4.303 -0.644 -1.440
C 1.350 -3.162 -0.309 1.342
C 2.765 -3.364 -0.906 -1.232
C 3.163 -2.275 -1.897 -0.218
O 2.822 -2.669 -3.226 -0.503
C 1.938 -1.775 -3.868 -0.239
S -3.838 -1.510 -1.073 -0.269
C -4.651 -0.290 -2.047 1.128
C -6.048 -0.373 -2.209 -0.249
B -6.947 -1.505 -1.603 0.563
O -8.226 -1.187 -1.144 -0.541
O -6.533 -2.807 -1.562 -0.473
C -6.674 0.593 -2.989 -0.522
C -5.948 1.627 -3.559 -0.829
C -4.580 1.690 -3.388 -0.973
C -3.918 0.720 -2.647 -0.114
N -2.500 0.844 -2.570 -0.510
I -1.690 -0.102 -4.274 0.088
H 0.090 -2.226 3.652 0.354
H -0.593 -0.514 3.931 0.199
H 1.413 -0.989 1.817 0.405
H 1.106 1.520 1.283 0.333
H 0.559 1.596 -2.682 0.362
H -0.921 2.484 -2.544 0.322
H 0.633 3.196 -0.216 0.389
H 0.079 4.181 -1.521 0.453
H 2.568 4.130 -1.081 0.438
H 2.083 4.070 -2.739 0.362
H 3.773 1.891 -0.909 0.068
H -2.333 -2.066 2.342 0.443
H -3.199 -2.602 0.942 0.388
H -0.428 -3.565 1.724 0.113
H -1.946 -4.402 1.598 0.613
H -1.641 -4.922 -0.541 0.379
H -1.446 -3.256 -1.016 0.163
H 0.473 -4.535 -1.708 0.494
H 0.694 -5.176 -0.058 0.251
H 1.477 -3.142 0.772 0.190
H 0.973 -2.201 -0.659 -0.727
H 2.848 -4.324 -1.415 0.463
H 3.508 -3.336 -0.106 0.381
H 2.699 -1.317 -1.648 0.148
H 4.246 -2.119 -1.885 0.385
H 1.491 -2.298 -4.711 0.314
H 2.459 -0.885 -4.241 0.299
H 1.151 -1.434 -3.190 -0.111
H -8.159 -0.601 -0.383 0.301
H -6.857 -3.217 -0.752 0.298
H -7.742 0.540 -3.154 0.489
H -6.442 2.384 -4.150 0.322
H -4.038 2.504 -3.850 0.627
C 2.383 -2.464 6.075 -1.324
C 1.664 -3.779 6.361 0.249
C 2.453 -4.731 7.270 -0.732
O 3.527 -5.401 6.641 -0.380
C 4.721 -4.654 6.516 -0.633
N 1.296 -4.411 5.091 -0.500
H 3.169 -2.574 5.329 0.263
H 1.677 -1.730 5.685 0.264
H 2.827 -2.053 6.984 0.373
H 0.738 -3.536 6.892 0.340
H 1.775 -5.523 7.598 0.356
H 2.802 -4.214 8.174 0.412
H 4.871 -3.991 7.374 0.296
H 4.736 -4.066 5.595 0.227
H 5.547 -5.364 6.474 0.257
H 0.721 -5.227 5.281 0.263
H 2.146 -4.795 4.686 0.272
C 7.053 0.056 -0.471 -1.446
C 6.999 1.252 -1.417 0.715
C 8.351 1.610 -2.047 -0.877
O 9.254 2.275 -1.185 -0.388
C 9.974 1.442 -0.298 -0.647
N 6.397 2.387 -0.713 -0.605
H 7.472 0.324 0.499 0.304
H 6.047 -0.324 -0.292 0.227
H 7.649 -0.757 -0.891 0.366
H 6.333 0.984 -2.243 0.283
H 8.166 2.311 -2.864 0.359
H 8.828 0.723 -2.486 0.435
H 10.211 0.478 -0.758 0.296
H 9.429 1.276 0.634 0.223

The derailed train following the collision (image courtesy of Network Rail)
Before this collision, train 5D77 had already collided with trees obstructing the railway on two other occasions after leaving Wrexham. All these collisions occurred while storm Arwen was causing high winds that affected much of the UK, including the intended route of the train.
3. Cause of the accident
The derailment occurred on the down Wrexham line, in a tree-covered cutting about 68 metres beyond the exit of Balderton tunnel. The tree that fell across the railway was an ash tree, with a trunk around 0.5 metres in diameter. This had been growing just beyond the crest of the cutting, about 9 metres from the railway track and about 0.5 metres outside the railway boundary fence.
After the accident, Network Rail staff inspected the remains of the tree which caused the derailment and found that it had been in ‘apparent good health’ before it fell. This inspection concluded that the cause of the tree falling was ‘extremely high wind speeds’ coming from an unusual direction.
A Meteorological Office weather station was located about 2.5 miles (4 km) north-west of the accident site. This weather station recorded wind blowing from a north-north-westerly direction with an average speed of 36 mph (58 km/h), and gust speeds of 64 mph (103 km/h), between 22:00 hrs and 23:00 hrs. Wind speeds increased to 39 mph (63 km/h) and 69 mph (111 km/h) in the following hour, during which the accident occurred. These conditions are likely to be indicative of those present at the locations where trees fell in front of train 5D77.
A Meteorological Office report about storm Arwen stated: ‘Thousands of trees were felled across the north of the UK - including large mature trees […] The unusual direction of the strongest winds - northerly as oppose[d] to prevailing westerly - may have been an additional factor influencing the number of trees brought down.’
At 22:12 hrs, train 5D77 departed from Wrexham General station. At 22:17 hrs, after it had travelled for 2.2 miles (3.5 km), it struck two trees close together at a speed of 38 mph (61 km/h). The driver called the signaller to report the incident, inspected the train (finding only superficial damage) and then removed those portions of the trees still obstructing the railway line. At 22:29 hrs he called the signaller stating that the train was able to proceed and was told by the signaller to ‘take time going down [the remainder of Gresford bank because] it wouldn’t surprise me if there weren’t a few more [trees] down.’
At Gresford bank the railway descends, in the direction of travel, at a gradient of 1:83 for a distance of about 4.1 miles (6.5 km), and the driver interpreted the signaller’s response as an instruction to proceed at caution. Proceeding at caution is described in module TW1 of GERT 8000, the railway Rule Book, as proceeding at a speed, taking account of conditions such as the distance the driver can see to be clear, that will allow the train to be stopped short of any obstruction.
At 22:30 hrs, train 5D77 continued on its journey, with the driver proceeding at caution. About a minute later, and after travelling a further 0.6 miles (1 km), it struck a third tree while travelling at 18 mph (30 km/h). At 22:34 hrs the driver called the signaller to report this collision. He then reversed the train to clear the obstruction, removed portions of the tree and inspected the train.
At 22:46 hrs the signaller reported the two collisions involving train 5D77 to Network Rail’s North West route control room, located in Manchester and responsible for managing infrastructure in north-west England. He also reported another weather-related accident about 0.3 miles (0.5 km) east of Chester station in which another train had collided with a metal shed blown onto the line.
At 22:54 hrs the driver of train 5D77 called the signaller again, having cleared the tree from the line and checked the train, and they came to a mutual understanding that the train should continue to proceed at caution until the bottom of Gresford bank. At 23:09 hrs, the train driver informed the signaller that he had reached the bottom of Gresford bank without incident. The driver then accelerated to maintain a speed of around 46 mph (74 km/h), which was less than the permitted line speed of 60 mph (97 km/h), until striking the tree shortly after exiting Balderton tunnel. This caused the leading axle of the train to derail.
Drivers and signallers are required to take appropriate action if they become aware of a risk to the safety of the line in accordance with the relevant operating rules and procedures. For example, in the case of forecast or actual extreme weather conditions requiring restrictions on train movements before there is evidence of actual damage, the relevant rules and procedures require staff in Network Rail route control to instruct signallers on the actions they must take. These actions can include giving instructions to train drivers. These instructions can include implementing a blanket emergency speed restriction (BESR), a restriction applied across a broad area without requiring the installation of signage.
Following a report by a train driver of a collision with an obstruction, module M3 of the Rule Book requires signallers to contact route control, and not to allow the train driver to proceed until control approves this. On the night of the accident, however, the signaller did not contact route control until after the second collision, and route control staff did not then instruct the signaller to restrict the movement of train 5D77 in any way.
Storm Arwen had caused serious disruption on Network Rail infrastructure before the derailment of 5D77 at around 23:13 hrs. By this time, nineteen events involving falling trees had been reported on Network Rail infrastructure, including nine within the North West route. Before this derailment, North West route control staff were monitoring these events and had considered whether to apply BESRs. They decided against this, as they believed the incidents were mostly minor and manageable.
Following the derailment of a passenger train at Carmont (RAIB Report 02/2022) Network Rail issued an emergency change to national operating procedure (NOP) 3.17 ‘Weather Arrangements’. This adjusted the instructions for control staff to follow after the failure of a structure or earthwork. The new instructions required them to consider imposing limits on train speeds on other parts of the network, taking account of weather conditions. There was no comparable requirement made relating to trees falling on the line.

Weather-related incidents on 26 November 2021, with time reported, as recorded in Network Rail national log. Some incidents are not recorded on this log.
Network Rail’s procedures for managing operational risk from extreme weather are set out in Network Rail process NR/L2/OPS/021, ‘Weather – managing the operational risks’. This requires routes to produce planned responses for actual or forecast breaches of specified weather-related thresholds (for example, high winds, heavy rain or low temperatures). Procedure NOP 3.17 gives thresholds for ‘extreme’ and, less onerous, ‘adverse’ conditions. Network Rail describe extreme weather as ‘so severe that consideration has to be given as to the level of service which can be safely operated’. Adverse weather is that ‘known to be challenging to reliable operations’.
If an ‘extreme’ weather threshold, or multiple ‘adverse’ weather thresholds, are forecast to be (or are) breached within the area comprising a route, the relevant route control staff are required to convene an extreme weather action teleconference (EWAT). This is intended to co-ordinate weather-related responses from various parts of the rail industry and to provide a forum for ‘structured expert judgement’ where this is needed to support decision-making. In addition to convening an EWAT before an extreme weather event, NR/L2/OPS/021 requires route control staff to conduct an EWAT during an extreme weather event if appropriate.
The wind speeds expected for the day of the accident within the North West route escalated from ‘adverse’ to ‘extreme’ when the forecast was updated on the morning of the accident. Although NR/L2/OPS/021 required an EWAT to be convened in these circumstances, North West route control staff did not convene one because they believed that an EWAT held the previous day had sufficiently considered the weather-related risks. As an alternative, they instigated hourly monitoring of both forecast and observed weather conditions. Network Rail states that this did not show wind speeds breaching thresholds in those areas where the maximum permitted line speeds were greater than the emergency speed restrictions that would have been required by its procedures.
Data records from another source follow:
┌──
Entry i
This record from the OMol25 dataset describes an isolated ion of composition C4H12N2 and charge +1. The level of theory is the ωB97M-V functional and the def2-TZVPD basis.

The expectation value of S² is 0.7543.

Structure (ORCA input):
```
! RIJCOSX wB97M-V def2-TZVPD def2/J DEFGRID3
* xyz 1 2
C 1.06 0.32 1.40
C 0.82 0.25 -0.12
C 1.96 -0.50 -0.82
N -0.45 -0.35 -0.44
C -1.65 0.43 -0.36
N -2.84 -0.45 -0.22
H 2.07 0.67 1.56
H 0.92 -0.65 1.88
H 0.34 1.00 1.85
H 0.86 1.24 -0.56
H 2.04 -1.51 -0.41
H 2.90 -0.03 -0.54
H 1.87 -0.55 -1.90
H -0.48 -1.08 -1.15
H -1.76 0.94 -1.33
H -1.52 1.18 0.42
H -2.61 -1.09 0.53
H -3.52 0.18 0.21
*
```

Entry ii
This record from the OMol25 dataset describes C4H12N2 as an isolated structure. The level of theory is the ωB97M-V functional and the def2-TZVPD basis.

The expectation value of S² is 0.7541.

Structure (ORCA input):
```
! RIJCOSX wB97M-V def2-TZVPD def2/J DEFGRID3
* xyz 1 2
N -0.29 -2.44 -0.25
C 0.81 0.94 2.28
C 0.71 0.54 0.80
C -0.29 1.09 -0.09
C -0.23 0.78 -1.58
N -0.87 -0.42 -2.02
H -0.79 -3.31 -0.39
H 0.61 -2.63 -0.74
H -0.18 0.80 2.77
H 1.58 0.35 2.78
H 1.12 2.03 2.34
H -0.35 -0.05 0.53
H 1.60 0.12 0.36
H -1.08 1.81 0.27
H -0.64 1.66 -2.16
H 0.80 0.70 -1.89
H -1.89 -0.22 -2.16
H -0.63 -1.76 -0.87
*
```

Quick one: most stable of them? entry i

Entry i
This record from the OMol25 dataset describes the molecule C23H29N3O3. The level of theory is the ωB97M-V functional and the def2-TZVPD basis.

As for the SMILES: CCN(CCCNC(=O)C[C@H]1Oc2ccc(C)cc2NC1=O)Cc1ccccc1.

Structure (ORCA input):
```
! RIJCOSX wB97M-V def2-TZVPD def2/J DEFGRID3
* xyz 0 1
C 0.74 2.34 -4.68
H 1.22 1.59 -5.31
H -0.31 2.07 -4.57
H 0.79 3.30 -5.19
C 1.44 2.43 -3.32
N 1.41 1.24 -2.50
C 0.12 0.97 -1.88
H 0.05 -0.10 -1.69
C -0.02 1.73 -0.55
H -1.00 1.53 -0.13
H 0.07 2.80 -0.73
C 1.05 1.33 0.46
N 0.97 -0.07 0.82
C 0.56 -0.50 2.03
O 0.23 0.25 2.93
C 0.55 -2.02 2.16
H 1.34 -2.45 1.56
H 0.69 -2.28 3.21
C -0.81 -2.62 1.71
C -1.20 -2.01 0.37
O -0.71 -2.39 -0.68
N -2.08 -1.00 0.43
C -2.63 -0.52 1.63
C -3.34 0.66 1.69
C -3.89 1.10 2.88
C -3.72 0.31 4.02
C -3.01 -0.87 3.97
C -2.45 -1.30 2.78
O -1.79 -2.49 2.72
H -2.88 -1.48 4.85
H -4.15 0.64 4.95
C -4.63 2.40 2.95
H -5.06 2.65 1.98
H -3.95 3.20 3.24
H -5.43 2.35 3.69
H -3.46 1.25 0.78
H -2.32 -0.53 -0.43
H -0.68 -3.70 1.58
H 1.25 -0.74 0.12
H 0.93 1.90 1.38
H 2.04 1.52 0.03
H -0.71 1.24 -2.54
C 2.02 0.07 -3.12
C 2.58 -0.84 -2.06
C 2.09 -2.12 -1.87
C 2.61 -2.93 -0.87
C 3.63 -2.47 -0.06
C 4.13 -1.19 -0.25
C 3.61 -0.38 -1.24
H 4.01 0.61 -1.40
H 4.93 -0.83 0.38
H 4.04 -3.10 0.71
H 2.21 -3.93 -0.74
H 1.28 -2.49 -2.49
H 2.84 0.43 -3.75
H 1.32 -0.48 -3.76
H 2.49 2.70 -3.48
H 0.98 3.24 -2.74
*
```

Entry ii
This record from the OMol25 dataset describes the molecule C23H29N3O3. The level of theory is the ωB97M-V functional and the def2-TZVPD basis.

As for the SMILES: C[C@@H]1CCCN(C(=O)c2ccc(CNc3c(N4CCCCC4)c(=O)c3=O)cc2)C1.

Structure (ORCA input):
```
! RIJCOSX wB97M-V def2-TZVPD def2/J DEFGRID3
└──
It is unlikely that holding an EWAT would have prevented this accident. This is because the most likely mitigation which would have resulted was the imposition of a 50 mph (80 km/h) speed restriction and train 5D77 was travelling at less than this speed when the accident occurred. In addition, although NR/L2/OPS/021 lists topics to be considered during an EWAT, this list does not include wind direction, and the wind thresholds in procedure NOP 3.17 do not take account of wind direction either. This means that the potential for greater than expected tree falls due to the unusual direction of the wind may not have been realised by those forming the EWAT, even had one been convened.
4. Previous similar occurrences
RAIB has reported on three accidents involving collisions between trains and trees that have fallen across the railway line (see RAIB report 08/2011, RAIB safety digest 02/2020 and RAIB safety digest 04/2021). These were all caused by trees in a poor condition which went undetected by Network Rail and the owner of the land where the tree stood.
RAIB report 02/2022 describes a derailment due to a washout caused by extreme rainfall at Carmont, Aberdeenshire on 12 August 2020. Three people died in this accident. Causal factors identified by RAIB included Network Rail’s processes not addressing weaknesses in the way it mitigated the consequences of intense and volatile rainfall events. RAIB also observed that EWAT meetings had not been held as required by Network Rail procedures.
Recommendations made to Network Rail in RAIB’s Carmont report address some of the factors present in the Balderton accident. These cover improving processes for mitigating the effects of extreme weather conditions and enhancing route control staff skills and resources to improve incident management. Additionally, RSSB has commenced a project (T1252) to assess the effectiveness of blanket speed restrictions in mitigating risks from trains colliding with trees or landslips.
A wider summary of previous RAIB learning, including previous incidents relating to the safe management of weather-related events, can be found on RAIB’s website.